Job:
Restate every line below that contains the word "XYZ".

Given:
<<<
C42H44AuN6P2SbSe2 as an isolated structure at a distorted geometry. Source: the Open Molecules 2025 dataset; level of theory: ωB97M-V/def2-TZVPD.

Calculated values
**Energy**: -7816.29707 Eh
**Lowest unoccupied orbital energy (spin up / spin down)**: -4.8814 / -8.0615 eV
**2S+1**: 3
**Total charge**: +2
**ΔE to the lowest compared entry with this formula, charge and spin**: 0.0 kcal/mol

Structure (XYZ):
```
98
Properties=species:S:1:pos:R:3:lowdin_spin:R:1
Au 17.253 13.931 11.877 0.429
Sb 17.319 15.301 14.252 0.108
Se 17.251 11.581 10.244 0.153
Se 11.290 10.871 12.050 0.814
P 15.504 10.954 11.436 0.013
P 11.801 12.246 10.438 0.057
N 17.312 16.288 10.790 0.005
N 14.359 14.705 11.908 0.012
N 19.422 14.036 11.480 0.062
N 13.203 14.334 11.436 0.015
N 15.179 13.716 11.924 0.089
N 19.510 15.815 9.887 -0.001
C 14.696 16.333 15.321 0.003
C 21.441 12.819 11.917 0.002
C 14.618 7.577 9.267 0.001
C 10.629 10.604 7.016 0.001
C 19.133 16.574 14.248 0.008
C 13.042 10.810 6.826 0.002
C 22.157 13.579 11.019 -0.002
C 13.822 8.886 11.615 0.009
C 13.278 12.994 11.057 0.038
C 9.293 15.314 11.115 0.000
C 20.114 13.008 12.066 0.000
C 15.168 8.864 9.535 0.005
C 9.154 15.898 9.841 0.000
C 16.952 14.320 17.258 0.004
C 17.483 9.488 14.767 0.000
C 10.718 11.240 8.241 0.004
C 16.010 10.553 13.170 0.000
C 18.490 16.745 10.362 0.000
C 11.950 11.535 8.815 0.003
C 16.829 10.109 15.788 0.000
C 17.973 19.023 10.855 0.000
C 18.763 18.133 10.211 0.001
C 21.461 14.525 10.289 0.004
C 11.821 10.361 6.336 0.000
C 10.153 14.202 11.296 0.001
C 20.074 14.790 10.564 0.005
C 13.288 7.611 11.276 0.001
C 14.580 12.529 11.330 0.033
C 10.747 13.636 10.175 0.004
C 9.911 15.428 8.777 0.000
C 19.415 17.503 15.505 0.004
C 16.432 17.240 11.256 0.000
C 14.735 9.463 10.751 0.006
C 13.156 11.315 8.143 -0.001
C 16.156 16.801 15.268 0.045
C 17.117 9.720 13.439 0.000
C 16.788 18.562 11.453 0.001
C 10.767 14.321 8.954 0.000
C 17.906 14.210 16.045 0.030
C 15.251 11.062 14.213 0.000
C 15.698 10.890 15.521 0.000
C 13.690 6.964 10.143 0.001
H 23.195 13.443 10.903 0.000
H 17.035 9.892 16.817 0.000
H 17.446 14.159 18.242 0.001
H 14.487 15.627 16.122 0.000
H 8.687 15.646 11.961 0.000
H 13.960 10.692 6.198 0.000
H 14.928 7.080 8.355 0.000
H 14.056 11.619 8.531 0.000
H 8.476 16.708 9.709 0.000
H 21.906 11.944 12.397 0.000
H 9.841 15.894 7.819 0.000
H 17.625 9.298 12.582 0.001
H 18.664 18.283 15.595 0.000
H 11.413 13.969 8.102 0.000
H 18.920 17.243 13.427 0.000
H 20.387 18.002 15.446 0.001
H 18.873 14.639 16.284 0.002
H 21.884 15.175 9.507 0.001
H 18.192 8.718 15.047 0.000
H 14.312 11.593 14.037 0.002
H 19.995 15.944 13.953 0.000
H 14.484 15.879 14.383 0.002
H 20.203 16.308 9.294 0.000
H 19.397 16.902 16.449 0.000
H 16.620 16.919 16.252 0.004
H 18.224 20.091 10.720 0.000
H 11.753 9.878 5.408 0.000
H 18.005 13.145 15.807 0.000
H 9.810 11.497 8.780 0.001
H 9.635 10.259 6.691 0.000
H 15.138 11.313 16.355 0.000
H 15.898 9.287 8.869 0.004
H 16.538 15.312 17.376 0.001
H 16.056 13.655 17.103 0.000
H 16.223 17.711 14.704 0.000
H 15.395 16.903 11.440 0.000
H 16.110 19.335 11.820 0.000
H 19.607 18.457 9.672 0.000
H 19.488 12.283 12.580 -0.001
H 14.050 17.228 15.409 0.000
H 12.497 7.252 11.975 0.000
H 10.258 13.780 12.290 -0.001
H 13.397 9.494 12.392 0.011
H 13.296 5.998 9.914 0.000
```

***

C42H44BN8O3S8W as an isolated structure at a distorted geometry. Source: the Open Molecules 2025 dataset; level of theory: ωB97M-V/def2-TZVPD.

Calculated values
**Energy**: -5568.04689 Eh
**Lowest unoccupied orbital energy**: -4.0825 eV
**Total charge**: +1
**ΔE to the lowest compared entry with this formula, charge and spin**: 0.0 kcal/mol

Structure (XYZ):
```
107
Properties=species:S:1:pos:R:3:mulliken_charge:R:1
W 0.184 -0.232 -0.468 1.318
S -8.189 -2.632 2.742 -0.174
S -5.456 -2.458 3.882 -0.048
S -6.272 -0.529 1.890 0.010
S 2.135 -3.663 2.355 -0.058
S -3.845 0.946 1.621 -0.322
S -2.653 -1.450 4.168 0.266
S -0.085 -2.251 0.960 -0.450
S -1.809 0.930 1.990 0.279
O 0.889 0.525 1.128 0.478
>>>

Result:
Structure (XYZ):
Structure (XYZ):